Balancing learning and health through the crisis – the Government response so far
This month marked a year since schools were first closed to fight Covid-19 infections. Since then, there’s been a constant debate over how best to balance public health and the long-term impacts of restricting classroom learning. We’ve summarised for you the government response so far to the impact of the pandemic on education.
What comes next are data records, not part of the entry:
A plane-wave DFT calculation with PBE with a Hubbard U was carried out for a relaxed structure of LiCoSiO4.

Magnetization, μB/f.u.: 0.88
Calculated formation energy, eV per atom: -2.2547
Crystal system: monoclinic
Energy above the most stable polymorph in this dataset, meV/atom: 99
Final energy, eV/atom: -6.5188

```
LiCoSiO4
1.0
4.930 8.817 0.000
-4.930 8.817 0.000
0.000 2.387 16.102
O Co Li Si
64 16 16 16
direct
0.505 0.545 0.425
0.300 0.107 0.772
0.746 0.420 0.523
0.626 0.216 0.454
0.001 0.645 0.425
0.760 0.929 0.178
0.336 0.173 0.612
0.142 0.001 0.924
0.105 0.799 0.272
0.713 0.629 0.953
0.984 0.240 0.024
0.591 0.838 0.112
0.045 0.507 0.924
0.877 0.438 0.170
0.107 0.300 0.272
0.480 0.243 0.022
0.438 0.877 0.670
0.926 0.260 0.679
0.173 0.336 0.112
0.809 0.603 0.775
0.603 0.809 0.275
0.929 0.760 0.678
0.298 0.969 0.363
0.645 0.001 0.925
0.800 0.968 0.364
0.294 0.465 0.361
0.379 0.437 0.170
0.465 0.294 0.861
0.969 0.298 0.863
0.466 0.795 0.862
0.132 0.336 0.447
0.240 0.984 0.524
0.093 0.949 0.702
0.742 0.922 0.524
0.336 0.132 0.947
0.332 0.675 0.614
0.216 0.626 0.954
0.260 0.926 0.179
0.019 0.589 0.202
0.087 0.841 0.111
0.545 0.505 0.925
0.834 0.140 0.946
0.838 0.591 0.612
0.095 0.448 0.700
0.949 0.093 0.202
0.520 0.590 0.200
0.799 0.105 0.772
0.243 0.480 0.522
0.420 0.746 0.023
0.590 0.520 0.700
0.629 0.713 0.453
0.605 0.310 0.276
0.437 0.379 0.670
0.001 0.142 0.424
0.589 0.019 0.702
0.795 0.466 0.362
0.140 0.834 0.446
0.968 0.800 0.864
0.310 0.605 0.776
0.448 0.095 0.200
0.675 0.332 0.114
0.507 0.045 0.424
0.841 0.087 0.611
0.922 0.742 0.024
0.770 0.447 0.629
0.882 0.509 0.879
0.005 0.321 0.378
0.380 0.271 0.128
0.447 0.770 0.129
0.383 0.503 0.879
0.769 0.947 0.630
0.009 0.822 0.379
0.509 0.882 0.379
0.947 0.769 0.130
0.822 0.009 0.879
0.882 0.269 0.129
0.503 0.383 0.379
0.271 0.380 0.628
0.269 0.882 0.629
0.321 0.005 0.878
0.577 0.701 0.753
0.203 0.810 0.002
0.809 0.705 0.503
0.140 0.309 0.001
0.639 0.309 0.002
0.082 0.762 0.753
0.810 0.203 0.502
0.705 0.809 0.003
0.701 0.577 0.253
0.309 0.140 0.501
0.762 0.082 0.253
0.203 0.570 0.252
0.570 0.203 0.752
0.262 0.077 0.251
0.077 0.262 0.751
0.309 0.639 0.502
0.419 0.041 0.689
0.168 0.980 0.439
0.919 0.602 0.691
0.666 0.538 0.441
0.666 0.040 0.442
0.543 0.420 0.189
0.980 0.168 0.939
0.602 0.919 0.191
0.101 0.916 0.191
0.916 0.101 0.691
0.166 0.480 0.439
0.040 0.666 0.942
0.538 0.666 0.941
0.420 0.543 0.689
0.480 0.166 0.939
0.041 0.419 0.189
```



A plane-wave DFT calculation with PBE with a Hubbard U was carried out for a relaxed structure of LiCoSiO4.

Magnetization, μB/f.u.: 4.00
Calculated formation energy, eV per atom: -2.3318
Crystal system: monoclinic
Energy above the most stable polymorph in this dataset, meV/atom: 22
Final energy, eV/atom: -6.5958

```
LiCoSiO4
1.0
-1.882 1.373 4.737
2.584 -7.138 3.096
7.878 1.550 2.680
Co Si O Li
4 4 16 4
direct
0.670 0.130 0.714
0.179 0.636 0.877
0.330 0.130 0.214
0.821 0.636 0.377
0.324 0.753 0.504
0.173 0.260 0.835
0.676 0.753 0.004
Closing schools: The last resort
School provides a safe, structured space for children and young people to learn and develop. Not all children can access learning as effectively at home. Weighing up the risk to public health with the risk to children’s wellbeing and future opportunities has been an ongoing challenge for politicians.
Schools in the UK closed from March to September 2020, resulting in up to 14 weeks of lost classroom learning for pupils. During this time, 71% of schools in England remained open to vulnerable children and those of key workers who weren’t at home to supervise learning, compared to 34% in Wales, 30% in Northern Ireland and just 24% in Scotland. Learning time fell significantly for pupils while schools were closed; the Institute for Fiscal Studies has found that pupils did not settle into remote learning during the first lockdown. As schools began to reopen, worries around sending pupils back to classrooms meant that inequalities worsened.
Education Secretary Gavin Williamson called closing schools a “last resort” for suppressing the rate of infection, given the detrimental impact on pupils. However, in January 2021, the Government changed its plan and announced that schools would close in the third nationwide lockdown. A surge in pupils attending in person then led the Government to issue more guidance and encourage key-worker parents to keep their children at home if they could, to relieve pressure on schools.
On 22nd February, the Prime Minister announced that English schools would reopen from 8th March. Although there would be no phased return for the different age groups (a decision criticised by education unions) schools were encouraged to consider staggering the daily timetable to reduce the risk of infection and secondary pupils had to undergo testing before they could re-enter the classroom. A petition calling for school and childcare staff to be prioritised for vaccination exceeded 500,000 signatures and was debated by parliament in January. However, the Government chose not to revise the priority groups to include teachers.
Improving access to remote learning
Once pupils were sent home, the gap in access to technology posed a big challenge. School communities weren’t ready for the sudden switch to remote learning and pupils from disadvantaged backgrounds were more likely to miss out.
**Someone pasted materials data at this point**
~~~
Here is crystalline SiO2 at its relaxed geometry from the Materials Project database. Energies are from PBE.

a b c (Å): 14.4345 14.4345 14.4345
angles (deg): 90.00 90.00 90.00
Closest atoms and distances in Å follow each position.
Space group Pm-3n (No. 223)
Symmetry-distinct sites (fractional):
Si: 0.1046 0.1915 0.2724 (multiplicity 48)  4 O 1.62-1.65
O: 0.0000 0.1527 0.2875 (multiplicity 24)  2 Si 1.62
O: 0.1072 0.2569 0.1790 (multiplicity 48)  2 Si 1.64-1.65
O: 0.1357 0.2500 0.3643 (multiplicity 24)  2 Si 1.63

Summary:
~~~
Access to devices and stable internet connection has varied greatly throughout the pandemic, with pupils from disadvantaged backgrounds more likely to be affected. The DfE’s Get help with technology scheme was introduced to address this. In England, the Government made efforts to deliver laptops and routers by the end of June 2020 and by 7th March 2021 over 1.25 million devices had been delivered.
Recent research by Ofsted found that many schools surveyed parents to assess gaps in tech, and then made great efforts to source equipment from within the community. Despite these efforts, many pupils still lack adequate technology to access home learning. Schools will continue to be legally required to provide remote learning to pupils that can’t attend school, even after classrooms reopened on 8th March. The pandemic has brought digital inequalities into focus and, as restrictions ease, the need to be ready for remote learning isn’t likely to disappear.
More money for schools to boost recovery
The Government recognised that schools would need more resources to cope with the impact of Covid-19 on pupils. Not all the funding has been made directly available to schools. A proportion is designated for tutoring, paid directly to quality-checked providers that schools can approach for support.
Last year, the Government announced a £1 billion catch-up fund for schools in England for the 2020-21 academic year. This was equivalent to £80 for every pupil in a mainstream school from reception to Year 11 (and more in specialist settings). While schools were offered some flexibility to decide how to use the money, it was meant to be used “for specific activities which will help pupils catch up on missed education”, with the Education Endowment Foundation publishing a guide for schools to identify the most effective approaches.
Around a third of the catch-uping fund made available for schools last year was ring-fenced for tuition. In June 2020, the Government a new National Tutoring Programme worth £350 million would be set up to help disadvantaged pupils recover from the educational disruption caused by Covid-19. Funding would be paid directly to accredited providers, to be approached by schools.
Tutoring organisations of all kinds, private and non-profit, were invited to apply to join the scheme and were subject to quality checks. Action Tutoring was officially approved as a Tuition Partner in November, and the initiative has enabled the charity to reach thousands more pupils in need of an academic boost. In January the scheme was extended until 2022, with an additional £200 million set aside, subject to future spending reviews.
# Crystal structures from another source follow
Computed, not measured: crystalline HoI3O9 at its relaxed geometry at the PBE level of DFT.

## Properties
- Symmetry: Pmmn, No. 59
- VASP energy: -4.627 eV per atom
- Polymorph energy (0 for the lowest one): 514 meV per atom

Unit cell a=6.4779 b=6.5286 c=8.5884 alpha=90.00 beta=90.00 gamma=90.00
Closest atoms and distances in Å follow each position.
Atoms (fractional coordinates):
O (0.5000, 0.7043, 0.0000)  1 Ho 2.19
O (0.6906, 0.5462, 0.3617)  1 I 1.93, 1 O 2.15
O (0.8094, 0.4538, 0.8617)  1 I 1.93, 1 O 2.15
O (0.0000, 0.8608, 0.2609)  1 I 1.90
O (0.3094, 0.5462, 0.6383)  1 I 1.93, 1 O 2.15
O (0.5000, 0.1392, 0.2391)  1 I 1.90
O (0.1906, 0.4538, 0.1383)  1 I 1.93, 1 O 2.15
O (0.1906, 0.4538, 0.8617)  1 I 1.93, 1 O 2.15
O (0.0000, 0.2957, 0.5000)  1 Ho 2.19
O (0.0000, 0.8608, 0.7391)  1 I 1.90
I (0.0000, 0.1390, 0.8030)  3 O 1.90-2.12
O (0.8094, 0.4538, 0.1383)  1 I 1.93, 1 O 2.15
I (0.5000, 0.8610, 0.3030)  3 O 1.90-2.12
I (0.0000, 0.1390, 0.1970)  3 O 1.90-2.12
I (0.0000, 0.5914, 0.0000)  4 O 1.93
O (0.3094, 0.5462, 0.3617)  1 I 1.93, 1 O 2.15
O (0.5000, 0.1392, 0.7609)  1 I 1.90
O (0.6906, 0.5462, 0.6383)  1 I 1.93, 1 O 2.15
I (0.5000, 0.4086, 0.5000)  4 O 1.93
Ho (0.5000, 0.3683, 0.0000)  5 O 2.19-2.40
O (0.3107, 0.9162, 0.5000)  2 I 2.12
Ho (0.0000, 0.6317, 0.5000)  5 O 2.19-2.40
O (0.1893, 0.0838, 0.0000)  2 I 2.12
O (0.6893, 0.9162, 0.5000)  2 I 2.12
I (0.5000, 0.8610, 0.6970)  3 O 1.90-2.12
O (0.8107, 0.0838, 0.0000)  2 I 2.12

~~~~~

(1)
# Na2MoO6 GGA+U relaxed
data_Na2MoO6
_chemical_formula_sum 'Na16 Mo8 O48'
_space_group_name_H-M_alt 'P 1'
_space_group_IT_number 1
_cell_length_a 9.421
_cell_length_b 10.263
_cell_length_c 11.748
_cell_angle_alpha 90.00
_cell_angle_beta 90.00
_cell_angle_gamma 90.00
loop_
_space_group_symop_operation_xyz
'x,y,z'
loop_
_atom_site_label
_atom_site_type_symbol
_atom_site_fract_x
_atom_site_fract_y
_atom_site_fract_z
Na1 Na 0.023 0.240 0.042
Na2 Na 0.023 0.260 0.542
Na3 Na 0.061 0.000 0.736
Na4 Na 0.061 0.500 0.236
Na5 Na 0.439 0.000 0.236
Na6 Na 0.439 0.500 0.736
Na7 Na 0.477 0.740 0.042
Na8 Na 0.477 0.760 0.542
Na9 Na 0.523 0.240 0.458
Na10 Na 0.523 0.260 0.958
Na11 Na 0.561 0.000 0.764
Na12 Na 0.561 0.500 0.264
Na13 Na 0.939 0.000 0.264
Na14 Na 0.939 0.500 0.764
Na15 Na 0.977 0.740 0.458
Na16 Na 0.977 0.760 0.958
Mo1 Mo 0.249 0.039 0.487
Mo2 Mo 0.249 0.461 0.987
Mo3 Mo 0.251 0.539 0.487
Mo4 Mo 0.251 0.961 0.987
Mo5 Mo 0.749 0.039 0.013
Mo6 Mo 0.749 0.461 0.513
Mo7 Mo 0.751 0.539 0.013
Mo8 Mo 0.751 0.961 0.513
O1 O 0.040 0.521 0.449
O2 O 0.040 0.979 0.949
O3 O 0.042 0.040 0.537
O4 O 0.042 0.460 0.037
O5 O 0.197 0.046 0.339
O6 O 0.197 0.454 0.839
O7 O 0.241 0.650 0.024
O8 O 0.241 0.850 0.524
O9 O 0.242 0.612 0.627
O10 O 0.242 0.888 0.127
O11 O 0.248 0.749 0.436
O12 O 0.248 0.751 0.936
O13 O 0.252 0.249 0.436
O14 O 0.252 0.251 0.936
O15 O 0.258 0.112 0.627
O16 O 0.258 0.388 0.127
O17 O 0.259 0.150 0.024
O18 O 0.259 0.350 0.524
O19 O 0.303 0.546 0.339
O20 O 0.303 0.954 0.839
O21 O 0.458 0.540 0.537
As of February, the NTP had reached 70% of its target schools. However, professor of social mobility, Lee Elliot Major, recently said that the NTP would need to be scaled up considerably if it is to have the desired impact. At present, not all pupils eligible for free school meals are benefiting from tuition through the scheme and the NTP’s data suggests that access is lowest in the North East, North West, Yorkshire and the Humber. The initiative represents a huge opportunity. But more will need to be done to ensure it is available to all those that need it for the long term.
The future of education recovery: Catch-up commissioner appointed
The impact of Covid-19 and school closures on education is deep and will be long lasting. Children and young people of all backgrounds will need additional support for years to come – support that spans academic attainment and mental and physical wellbeing. Sustained action will be needed to address the inequalities worsened by the crisis.
Numerous options have been considered in the public discussion around education catch-up, including longer school days, additional school terms, summer schools and forest schools.
Sir Kevan Collins, former chief executive of the Education Endowment Foundation with 30 years of teaching experience, has been appointed Education Recovery Commissioner. The Commissioner will report directly to the Prime Minister and Education Secretary, and will “consult closely with parents, teachers and schools to make sure every young person has the opportunity to progress and fulfil their potential.”
Whatever plans are announced in the coming months, we hope they will address all the aspects of pupils’ learning and wellbeing that have been impacted by the pandemic. We also hope they will draw creatively on the full evidence available for what works, and that they carefully consider the demands placed on our school workforce.